_File_
Computed PXRD pattern of Tl5I2F3 for Cu Ka, from a PBE-relaxed structure.

Structural model:
```
Tl5I2F3
1.0
7.8875 -2.2800 0.0000
7.8875 2.2800 0.0000
-4.1674 0.0000 9.2950
Tl I F
5 2 3
direct
0.0000 0.0000 0.0000
0.0986 0.0986 0.4324
0.3659 0.3659 0.2341
0.6341 0.6341 0.7659
0.9014 0.9014 0.5676
0.3318 0.3318 0.7687
0.6682 0.6682 0.2313
0.0555 0.0555 0.7792
0.5000 0.5000 0.5000
0.9445 0.9445 0.2208
```

Peak list (10 most intense, 2θ = 10–80°, sorted by position)
d 3.599, rel. 34
d 3.435, rel. 96
d 3.392, rel. 99
d 3.332, rel. 47
d 3.305, rel. 69
d 3.145, rel. 74
d 3.043, rel. 42
d 2.995, rel. 100
d 2.280, rel. 49
d 1.860, rel. 39

=====

For Mn2Se2O7, a DFT-relaxed cell (PBE+U, Alexandria) gives the computed powder diffractogram in this record (λ = 1.5418 Å (Cu Kα)).

Peak list (8 most intense, 2θ from 10° to 90°, sorted by position)
2θ/deg, d [Å], Rel. int., hkl
19.72, 4.503, 21, 1 1 0
22.83, 3.895, 31, 0 2 1
25.24, 3.528, 100, 1 2 -1
29.75, 3.003, 68, 1 1 1
29.92, 2.986, 29, 1 3 0
31.70, 2.823, 36, 0 4 0
32.69, 2.739, 16, 1 1 -2
53.62, 1.709, 18, 2 5 -1

Structure:
Lattice parameters (Å, degrees): 5.2579 11.2872 5.7638 90.00 110.95 90.00
Space group P2_1/c (No. 14)
Asymmetric unit:
Mn: 0.0296 0.1431 0.4047 (multiplicity 4)
Se: 0.3375 0.5959 0.6961 (multiplicity 4)
O: 0.0925 0.6864 0.4855 (multiplicity 4)
O: 0.1598 0.5423 0.8820 (multiplicity 4)
O: 0.4324 0.1919 0.6208 (multiplicity 4)
O: 0.5000 0.0000 0.0000 (multiplicity 2)
_Job_
Say how many lines of the contents above hold the word "from", as a bare number, please.
_Solution_
2